_Material_
********
Record 1
CsAl3P6O20: relaxed, PBE.

a b c (Å): 8.442 8.442 12.333
angles (deg): 90.00 90.00 106.08
Positions (direct):
Al: 0.321 0.777 0.221
O: 0.305 0.236 0.895
O: 0.573 0.383 0.051
O: 0.862 0.568 0.073
O: 0.265 0.793 0.874
O: 0.829 0.057 0.278
O: 0.282 0.314 0.696
O: 0.782 0.814 0.804
O: 0.805 0.736 0.605
P: 0.904 0.638 0.195
O: 0.507 0.821 0.725
O: 0.552 0.846 0.241
Al: 0.277 0.821 0.721
P: 0.638 0.904 0.805
O: 0.821 0.507 0.275
P: 0.379 0.753 0.958
Cs: 0.000 0.000 0.000
O: 0.814 0.782 0.196
P: 0.404 0.138 0.305
Cs: 0.500 0.500 0.500
P: 0.879 0.725 0.719
O: 0.217 0.585 0.700
O: 0.717 0.085 0.800
O: 0.007 0.321 0.775
Al: 0.380 0.380 0.000
O: 0.346 0.052 0.741
O: 0.557 0.329 0.778
O: 0.293 0.765 0.374
O: 0.236 0.305 0.105
O: 0.085 0.717 0.200
O: 0.848 0.303 0.429
O: 0.846 0.552 0.759
O: 0.883 0.073 0.551
P: 0.379 0.225 0.781
P: 0.253 0.879 0.458
O: 0.303 0.848 0.571
O: 0.057 0.829 0.722
O: 0.793 0.265 0.126
O: 0.765 0.293 0.626
O: 0.052 0.346 0.259
Al: 0.777 0.321 0.779
P: 0.879 0.253 0.542
P: 0.753 0.379 0.042
O: 0.803 0.348 0.929
O: 0.362 0.068 0.427
O: 0.568 0.862 0.927
P: 0.138 0.404 0.695
O: 0.736 0.805 0.395
O: 0.073 0.883 0.449
O: 0.329 0.557 0.222
P: 0.225 0.379 0.219
O: 0.068 0.362 0.573
O: 0.348 0.803 0.071
O: 0.585 0.217 0.300
O: 0.383 0.573 0.949
P: 0.725 0.879 0.281
O: 0.314 0.282 0.304
O: 0.321 0.007 0.225
Al: 0.880 0.880 0.500
Al: 0.821 0.277 0.279

The calculation puts the formation energy at -2.930 eV per atom. The total moment is 0.00 Bohr magnetons per cell. The total energy comes out at -435.451 eV per cell.

---

Record 2
CaZr2PbO6: relaxed, PBE.

a b c (Å): 8.279 8.282 8.291
angles (deg): 89.84 89.68 89.71
Positions (direct):
O: 0.491 0.692 0.772
O: 0.685 0.273 0.000
O: 0.191 0.266 0.491
O: 0.701 0.763 0.491
Zr: 0.243 0.749 0.743
Ca: 0.498 0.014 0.014
O: 0.281 0.490 0.176
O: 0.764 0.491 0.700
Ca: 0.515 0.510 0.999
O: 0.501 0.773 0.178
O: 0.784 0.987 0.216
Zr: 0.746 0.242 0.249
O: 0.191 0.991 0.271
O: 0.001 0.689 0.251
O: 0.485 0.291 0.724
Ca: 0.011 0.500 0.014
O: 0.985 0.222 0.789
Pb: 0.509 0.997 0.505
Zr: 0.240 0.251 0.747
Zr: 0.751 0.741 0.239
O: 0.256 0.999 0.694
Zr: 0.253 0.743 0.238
O: 0.220 0.788 0.986
Ca: 0.017 0.012 0.500
O: 0.272 0.187 0.992
O: 0.709 0.487 0.279
Pb: 0.996 0.509 0.510
Pb: 0.516 0.514 0.517
O: 0.775 0.185 0.500
O: 0.987 0.786 0.683
Pb: 0.017 0.012 0.014
Zr: 0.248 0.249 0.245
O: 0.181 0.500 0.778
O: 0.283 0.714 0.486
Zr: 0.740 0.242 0.754
O: 0.679 0.989 0.790
Zr: 0.748 0.750 0.752
O: 0.993 0.275 0.189
O: 0.491 0.185 0.266
O: 0.780 0.674 0.988

The calculation puts the formation energy at -3.235 eV per atom. The total moment is 0.00 Bohr magnetons per cell. The total energy comes out at -322.911 eV per cell.

---

no.,E (MP2020) (eV per atom)
1,-7.72
2,-8.48

* * * * *

Computed, not measured: Gd2TlAg after structural relaxation at the meta-GGA r2SCAN level of DFT.

Computed properties:
Density, Mg/m³: 10.0
Uncorrected energy, eV/atom: -40.70
ΔH_f (0 K), meV per atom: -364

Cell lengths 7.4728, 7.4728, 7.4728 Å; angles 90.00, 90.00, 90.00 degrees
Closest atoms and distances in Å follow each position.
Space group Fm-3m (No. 225)
Asymmetric unit:
Gd 0.2500 0.2500 0.2500  4 Tl 3.24, 4 Ag 3.24
Tl 0.0000 0.0000 0.0000  8 Gd 3.24
Ag 0.0000 0.0000 0.5000  8 Gd 3.24

Computed, not measured: LaAg2Ge2 after structural relaxation at the meta-GGA r2SCAN level of DFT.

Computed properties:
Density, Mg/m³: 7.9
Uncorrected energy, eV/atom: -20.56
ΔH_f (0 K), meV per atom: -518

Cell lengths 4.3665, 4.3665, 10.9680 Å; angles 90.00, 90.00, 90.00 degrees
Closest atoms and distances in Å follow each position.
Space group I4/mmm (No. 139)
Asymmetric unit:
La 0.0000 0.0000 0.0000  8 Ge 3.32, 8 Ag 3.51
Ag 0.0000 0.5000 0.2500  4 Ge 2.66
Ge 0.0000 0.0000 0.3881  1 Ge 2.45, 4 Ag 2.66

Computed, not measured: NdAg2Ge2 after structural relaxation at the meta-GGA r2SCAN level of DFT.

Computed properties:
Density, Mg/m³: 8.3
Uncorrected energy, eV/atom: -20.45
ΔH_f (0 K), meV per atom: -471
********

_Activity_
What is needed: give back the lines above from the line with "0.486" to the end without altering anything.

_Written answer_
O: 0.283 0.714 0.486
Zr: 0.740 0.242 0.754
O: 0.679 0.989 0.790
Zr: 0.748 0.750 0.752
O: 0.993 0.275 0.189
O: 0.491 0.185 0.266
O: 0.780 0.674 0.988

The calculation puts the formation energy at -3.235 eV per atom. The total moment is 0.00 Bohr magnetons per cell. The total energy comes out at -322.911 eV per cell.

---

no.,E (MP2020) (eV per atom)
1,-7.72
2,-8.48

* * * * *

Computed, not measured: Gd2TlAg after structural relaxation at the meta-GGA r2SCAN level of DFT.

Computed properties:
Density, Mg/m³: 10.0
Uncorrected energy, eV/atom: -40.70
ΔH_f (0 K), meV per atom: -364

Cell lengths 7.4728, 7.4728, 7.4728 Å; angles 90.00, 90.00, 90.00 degrees
Closest atoms and distances in Å follow each position.
Space group Fm-3m (No. 225)
Asymmetric unit:
Gd 0.2500 0.2500 0.2500  4 Tl 3.24, 4 Ag 3.24
Tl 0.0000 0.0000 0.0000  8 Gd 3.24
Ag 0.0000 0.0000 0.5000  8 Gd 3.24

Computed, not measured: LaAg2Ge2 after structural relaxation at the meta-GGA r2SCAN level of DFT.

Computed properties:
Density, Mg/m³: 7.9
Uncorrected energy, eV/atom: -20.56
ΔH_f (0 K), meV per atom: -518

Cell lengths 4.3665, 4.3665, 10.9680 Å; angles 90.00, 90.00, 90.00 degrees
Closest atoms and distances in Å follow each position.
Space group I4/mmm (No. 139)
Asymmetric unit:
La 0.0000 0.0000 0.0000  8 Ge 3.32, 8 Ag 3.51
Ag 0.0000 0.5000 0.2500  4 Ge 2.66
Ge 0.0000 0.0000 0.3881  1 Ge 2.45, 4 Ag 2.66

Computed, not measured: NdAg2Ge2 after structural relaxation at the meta-GGA r2SCAN level of DFT.

Computed properties:
Density, Mg/m³: 8.3
Uncorrected energy, eV/atom: -20.45
ΔH_f (0 K), meV per atom: -471